[Activity]
Now set down everything below without altering anything.

[Contents]
____________
Record 1
## Dy3FeB7 (GGA-PBE)

Data for a relaxed structure of Dy3FeB7.

```
Dy3FeB7
1.0
1.711 -7.851 0.000
1.711 7.851 0.000
0.000 0.000 9.309
Dy Fe B
6 2 14
Direct
0.105 0.895 0.560
0.105 0.895 0.940
0.243 0.757 0.250
0.757 0.243 0.750
0.895 0.105 0.060
0.895 0.105 0.440
0.054 0.946 0.250
0.946 0.054 0.750
0.273 0.727 0.533
0.273 0.727 0.967
0.370 0.630 0.653
0.370 0.630 0.847
0.460 0.540 0.250
0.478 0.522 0.599
0.478 0.522 0.901
0.522 0.478 0.099
0.522 0.478 0.401
0.540 0.460 0.750
0.630 0.370 0.153
0.630 0.370 0.347
0.727 0.273 0.033
0.727 0.273 0.467
```

Values from the calculation:
* symmetry: Cmcm (63)
* ΔH_f (0 K): -593.8 meV/atom

Record 2
## DyFeB4 (GGA-PBE)

Data for a relaxed structure of DyFeB4.

```
DyFeB4
1.0
5.886 0.000 0.000
0.000 11.385 0.000
0.000 0.000 3.380
Dy Fe B
4 4 16
Direct
0.128 0.150 0.000
0.372 0.650 0.000
0.628 0.350 0.000
0.872 0.850 0.000
0.134 0.412 0.000
0.366 0.912 0.000
0.634 0.088 0.000
0.866 0.588 0.000
0.023 0.690 0.500
0.111 0.546 0.500
0.139 0.968 0.500
0.217 0.816 0.500
0.283 0.316 0.500
0.361 0.468 0.500
0.389 0.046 0.500
0.477 0.190 0.500
0.523 0.810 0.500
0.611 0.954 0.500
0.639 0.532 0.500
0.717 0.684 0.500
0.783 0.184 0.500
0.861 0.032 0.500
0.889 0.454 0.500
0.977 0.310 0.500
```

Values from the calculation:
* symmetry: Pbam (55)
* ΔH_f (0 K): -615.3 meV/atom

Record 3
## NdDyFe14B (GGA-PBE)

Data for a relaxed structure of NdDyFe14B.

```
NdDyFe14B
1.0
8.748 0.000 0.000
0.000 8.748 0.000
0.000 0.000 12.053
Nd Dy Fe B
4 4 56 4
Direct
0.140 0.140 0.000
0.360 0.640 0.500
0.640 0.360 0.500
0.860 0.860 0.000
0.229 0.229 0.500
0.271 0.729 0.000
0.729 0.271 0.000
0.771 0.771 0.500
0.000 0.000 0.386
0.000 0.000 0.614
0.000 0.500 0.000
0.000 0.500 0.500
0.039 0.640 0.175
0.039 0.640 0.825
0.067 0.724 0.373
0.067 0.724 0.627
0.098 0.902 0.204
0.098 0.902 0.796
0.140 0.461 0.325
0.140 0.461 0.675
0.182 0.182 0.256
0.182 0.182 0.744
0.224 0.433 0.127
0.224 0.433 0.873
0.276 0.933 0.373
0.276 0.933 0.627
0.318 0.682 0.244
0.318 0.682 0.756
0.360 0.961 0.175
0.360 0.961 0.825
0.402 0.402 0.296
0.402 0.402 0.704
0.433 0.224 0.127
0.433 0.224 0.873
0.461 0.140 0.325
0.461 0.140 0.675
0.500 0.000 0.000
0.500 0.000 0.500
0.500 0.500 0.114
0.500 0.500 0.886
0.539 0.860 0.325
0.539 0.860 0.675
0.567 0.776 0.127
0.567 0.776 0.873
0.598 0.598 0.296
0.598 0.598 0.704
0.640 0.039 0.175
0.640 0.039 0.825
0.682 0.318 0.244
0.682 0.318 0.756
0.724 0.067 0.373
0.724 0.067 0.627
0.776 0.567 0.127
0.776 0.567 0.873
0.818 0.818 0.256
0.818 0.818 0.744
0.860 0.539 0.325
0.860 0.539 0.675
0.902 0.098 0.204
0.902 0.098 0.796
0.933 0.276 0.373
0.933 0.276 0.627
0.961 0.360 0.175
0.961 0.360 0.825
0.125 0.875 0.500
0.375 0.375 0.000
0.625 0.625 0.000
0.875 0.125 0.500
```

Values from the calculation:
* magnetic moment: 124.7 μB/cell
* symmetry: P4_2/mnm (136)
* ΔH_f (0 K): -86.0 meV/atom

Record 4
## DyTmFe14B (GGA-PBE)

Data for a relaxed structure of DyTmFe14B.

```
DyTmFe14B
1.0
8.706 0.000 0.000
0.000 8.706 0.000
0.000 0.000 11.872
Dy Tm Fe B
4 4 56 4
Direct
0.233 0.233 0.000
0.267 0.733 0.500
0.733 0.267 0.500
0.767 0.767 0.000
0.144 0.144 0.500
0.356 0.644 0.000
0.644 0.356 0.000
0.856 0.856 0.500
0.000 0.000 0.115
0.000 0.000 0.885
0.000 0.500 0.000
0.000 0.500 0.500
0.037 0.642 0.326
0.037 0.642 0.674
0.066 0.725 0.127
0.066 0.725 0.873
0.097 0.903 0.300
0.097 0.903 0.700
____________

[Written answer]
Record 1
## Dy3FeB7 (GGA-PBE)

Data for a relaxed structure of Dy3FeB7.

```
Dy3FeB7
1.0
1.711 -7.851 0.000
1.711 7.851 0.000
0.000 0.000 9.309
Dy Fe B
6 2 14
Direct
0.105 0.895 0.560
0.105 0.895 0.940
0.243 0.757 0.250
0.757 0.243 0.750
0.895 0.105 0.060
0.895 0.105 0.440
0.054 0.946 0.250
0.946 0.054 0.750
0.273 0.727 0.533
0.273 0.727 0.967
0.370 0.630 0.653
0.370 0.630 0.847
0.460 0.540 0.250
0.478 0.522 0.599
0.478 0.522 0.901
0.522 0.478 0.099
0.522 0.478 0.401
0.540 0.460 0.750
0.630 0.370 0.153
0.630 0.370 0.347
0.727 0.273 0.033
0.727 0.273 0.467
```

Values from the calculation:
* symmetry: Cmcm (63)
* ΔH_f (0 K): -593.8 meV/atom

Record 2
## DyFeB4 (GGA-PBE)

Data for a relaxed structure of DyFeB4.

```
DyFeB4
1.0
5.886 0.000 0.000
0.000 11.385 0.000
0.000 0.000 3.380
Dy Fe B
4 4 16
Direct
0.128 0.150 0.000
0.372 0.650 0.000
0.628 0.350 0.000
0.872 0.850 0.000
0.134 0.412 0.000
0.366 0.912 0.000
0.634 0.088 0.000
0.866 0.588 0.000
0.023 0.690 0.500
0.111 0.546 0.500
0.139 0.968 0.500
0.217 0.816 0.500
0.283 0.316 0.500
0.361 0.468 0.500
0.389 0.046 0.500
0.477 0.190 0.500
0.523 0.810 0.500
0.611 0.954 0.500
0.639 0.532 0.500
0.717 0.684 0.500
0.783 0.184 0.500
0.861 0.032 0.500
0.889 0.454 0.500
0.977 0.310 0.500
```

Values from the calculation:
* symmetry: Pbam (55)
* ΔH_f (0 K): -615.3 meV/atom

Record 3
## NdDyFe14B (GGA-PBE)

Data for a relaxed structure of NdDyFe14B.

```
NdDyFe14B
1.0
8.748 0.000 0.000
0.000 8.748 0.000
0.000 0.000 12.053
Nd Dy Fe B
4 4 56 4
Direct
0.140 0.140 0.000
0.360 0.640 0.500
0.640 0.360 0.500
0.860 0.860 0.000
0.229 0.229 0.500
0.271 0.729 0.000
0.729 0.271 0.000
0.771 0.771 0.500
0.000 0.000 0.386
0.000 0.000 0.614
0.000 0.500 0.000
0.000 0.500 0.500
0.039 0.640 0.175
0.039 0.640 0.825
0.067 0.724 0.373
0.067 0.724 0.627
0.098 0.902 0.204
0.098 0.902 0.796
0.140 0.461 0.325
0.140 0.461 0.675
0.182 0.182 0.256
0.182 0.182 0.744
0.224 0.433 0.127
0.224 0.433 0.873
0.276 0.933 0.373
0.276 0.933 0.627
0.318 0.682 0.244
0.318 0.682 0.756
0.360 0.961 0.175
0.360 0.961 0.825
0.402 0.402 0.296
0.402 0.402 0.704
0.433 0.224 0.127
0.433 0.224 0.873
0.461 0.140 0.325
0.461 0.140 0.675
0.500 0.000 0.000
0.500 0.000 0.500
0.500 0.500 0.114
0.500 0.500 0.886
0.539 0.860 0.325
0.539 0.860 0.675
0.567 0.776 0.127
0.567 0.776 0.873
0.598 0.598 0.296
0.598 0.598 0.704
0.640 0.039 0.175
0.640 0.039 0.825
0.682 0.318 0.244
0.682 0.318 0.756
0.724 0.067 0.373
0.724 0.067 0.627
0.776 0.567 0.127
0.776 0.567 0.873
0.818 0.818 0.256
0.818 0.818 0.744
0.860 0.539 0.325
0.860 0.539 0.675
0.902 0.098 0.204
0.902 0.098 0.796
0.933 0.276 0.373
0.933 0.276 0.627
0.961 0.360 0.175
0.961 0.360 0.825
0.125 0.875 0.500
0.375 0.375 0.000
0.625 0.625 0.000
0.875 0.125 0.500
```

Values from the calculation:
* magnetic moment: 124.7 μB/cell
* symmetry: P4_2/mnm (136)
* ΔH_f (0 K): -86.0 meV/atom

Record 4
## DyTmFe14B (GGA-PBE)

Data for a relaxed structure of DyTmFe14B.

```
DyTmFe14B
1.0
8.706 0.000 0.000
0.000 8.706 0.000
0.000 0.000 11.872
Dy Tm Fe B
4 4 56 4
Direct
0.233 0.233 0.000
0.267 0.733 0.500
0.733 0.267 0.500
0.767 0.767 0.000
0.144 0.144 0.500
0.356 0.644 0.000
0.644 0.356 0.000
0.856 0.856 0.500
0.000 0.000 0.115
0.000 0.000 0.885
0.000 0.500 0.000
0.000 0.500 0.500
0.037 0.642 0.326
0.037 0.642 0.674
0.066 0.725 0.127
0.066 0.725 0.873
0.097 0.903 0.300
0.097 0.903 0.700